**File:**
Formula: C18H26AsBCoN6S6
Source: the Open Molecules 2025 dataset
Level of theory: ωB97M-V/def2-TZVPD

Geometry as XYZ:
```
59
Properties=species:S:1:pos:R:3
Co -0.55126 -0.97278 0.23693
C 4.93890 1.47501 -1.48165
N 4.14636 2.07496 -0.44055
C 4.63973 2.57547 0.75378
C 3.58632 3.06926 1.42125
N 2.43821 2.88459 0.66587
B 1.06650 3.48811 1.12050
N 0.36271 2.59922 2.23831
C 0.58739 2.78323 3.58989
C -0.24504 1.97771 4.28254
N -1.00875 1.30730 3.34983
C -2.10467 0.40553 3.65140
C -0.62745 1.68642 2.10382
S -1.40668 1.15575 0.66917
C 2.78547 2.29573 -0.51541
S 1.84899 1.89236 -1.85676
H 5.75396 0.90589 -1.03375
H 5.34767 2.23086 -2.15566
H 4.29463 0.81734 -2.05972
H 5.68411 2.52063 1.01562
H 3.54824 3.53962 2.39090
H 1.34375 4.52818 1.68550
H 0.32472 3.61466 0.19233
H 1.32397 3.48701 3.94122
H -0.37060 1.82567 5.34166
H -1.96989 -0.00264 4.64933
H -2.12186 -0.40932 2.94040
H -3.05986 0.92817 3.58804
S -2.03560 -5.45550 0.71748
As -2.23058 -3.41571 1.29672
S -2.70691 -2.12249 -0.36957
S -0.32498 -2.55635 1.94338
S -3.67879 -3.44449 2.84731
C 1.81091 -1.55336 -4.41280
C 0.34691 -1.85441 -4.06625
C 0.08209 -3.36491 -3.99501
C -0.59392 -1.17671 -5.07413
C 0.05392 -1.29410 -2.74196
N -0.19123 -0.86959 -1.71164
H 2.02014 -1.89694 -5.42756
H 2.48892 -2.06415 -3.72682
H 2.00401 -0.48056 -4.35341
H 0.29223 -3.82028 -4.96498
H -0.95737 -3.55969 -3.72664
H 0.71422 -3.83483 -3.24022
H -0.42043 -1.59101 -6.06871
H -0.41193 -0.10159 -5.10043
H -1.63559 -1.34426 -4.79769
C 4.28385 -1.55069 1.44161
C 3.45506 -0.77924 2.23617
C 2.19342 -0.45025 1.76671
N 1.73736 -0.83342 0.57543
C 2.54650 -1.56732 -0.18843
C 3.81676 -1.95129 0.19894
H 5.27265 -1.83332 1.78131
H 3.77149 -0.43023 3.21049
H 1.51752 0.13521 2.37882
H 2.15435 -1.86334 -1.15250
H 4.42077 -2.56329 -0.45930
```

Total charge: -1
LUMO energy (alpha / beta): 2.29 / 0.61 eV
Frontier orbital gap (alpha / beta): 6.961 / 5.285 eV
HOMO energy (alpha / beta): -4.7 / -4.7 eV
Multiplicity: 5
Energy relative to the best compared isomer or geometry (same formula, charge and spin): 65.6 kJ/mol

----------

1.
Molecular formula: C12H26Ca2N10O10
Method: DFT, the ωB97M-V functional and the def2-TZVPD basis

```
60
Properties=species:S:1:pos:R:3:forces:R:3:lowdin_charge:R:1
Ca 5.681862 -22.510898 -27.042767 -0.2 -0.3 -1.2 1.65
Ca 4.017111 -26.334375 -24.210216 0.9 -1.3 -1.6 1.63
C 5.103959 -25.151341 -26.650673 2.2 0.1 0.2 -0.92
O 5.434346 -26.285307 -26.182579 -1.4 -0.3 0.3 -0.16
O 5.412786 -24.732040 -27.815224 -0.3 -0.2 -0.3 -0.16
O 4.664022 -24.253249 -25.818547 -1.4 0.5 1.3 -0.27
C 1.747331 -26.621193 -26.676989 0.1 -1.7 -1.1 -0.59
O 2.416574 -26.950115 -25.673259 -0.1 1.3 0.3 -0.15
N 1.122328 -27.598841 -27.395106 0.3 1.4 0.6 0.20
N 1.684345 -25.399264 -27.252248 0.5 0.4 1.2 0.20
H 1.225762 -28.538854 -27.054732 -0.4 -0.1 0.0 0.12
H 0.303950 -27.252279 -27.865751 -0.2 -0.9 -0.3 0.12
H 1.980354 -24.590562 -26.728251 0.1 -0.1 -0.1 0.11
H 1.209357 -25.232445 -28.116625 -0.2 -0.2 -0.1 0.11
C 6.426287 -22.099589 -23.867297 0.8 -1.1 0.9 -0.60
O 6.438906 -21.752659 -25.067727 -0.1 0.0 0.4 -0.16
N 7.551572 -22.181607 -23.107377 -0.8 0.7 -1.6 0.21
N 5.292142 -22.560279 -23.266837 -0.1 0.3 -0.9 0.17
H 8.368030 -21.764120 -23.528804 0.2 0.0 0.5 0.13
H 7.486215 -22.384920 -22.130712 0.3 0.1 0.2 0.12
H 5.339063 -22.971066 -22.354746 -0.1 0.0 0.2 0.11
H 4.629251 -22.914037 -23.942058 -0.2 0.1 0.3 0.08
C 4.380316 -29.565278 -25.080718 0.2 0.8 -0.1 -0.63
O 4.573840 -28.697371 -24.178578 -0.2 0.6 -0.2 -0.15
N 4.617238 -29.264682 -26.374249 -0.1 0.5 -0.1 0.20
N 3.918111 -30.788037 -24.783565 0.5 1.3 -0.7 0.20
H 4.966717 -28.342571 -26.596577 0.0 0.0 0.2 0.06
H 4.531747 -29.856485 -27.183260 0.0 -0.5 0.3 0.12
H 3.566709 -31.259225 -25.597936 -0.1 -1.1 0.7 0.12
H 3.866573 -30.990500 -23.801050 -0.5 -0.7 -0.2 0.13
C 3.749396 -22.327734 -29.804888 0.0 0.3 -0.6 -0.64
O 4.768388 -21.919389 -29.215325 0.0 -0.2 1.2 -0.11
N 3.258885 -23.580447 -29.657145 -0.2 -0.7 0.6 0.18
N 3.085603 -21.535930 -30.665653 0.1 -0.5 0.5 0.20

**Request:**
Now say how many lines of the data further above hold the word "of", as a bare number.

**Worked solution:**
1